Blog (Page 8)
Quarantined: Survey
Please take a moment to share some thoughts with us to help us better create spiritual formation opportunities for our church in the future.
~~~
Entry 1:
## SrLiV (PBE)

Data for a geometry-optimized SrLiV structure. Values from VASP.

```
&SYSTEM
  ibrav = 0, nat = 6, ntyp = 3
/
ATOMIC_SPECIES
Sr 87.62 Sr.upf
Li 6.94 Li.upf
V 50.94 V.upf
CELL_PARAMETERS angstrom
5.1623 0.0000 0.0000
-2.5812 4.4707 0.0000
0.0000 0.0000 7.5501
ATOMIC_POSITIONS crystal
Sr 0.0000 0.0000 0.0000
Sr 0.0000 0.0000 0.5000
Li 0.3333 0.6667 0.2500
Li 0.6667 0.3333 0.7500
V 0.3333 0.6667 0.7500
V 0.6667 0.3333 0.2500
```

Calculated values
Distance to the lowest polymorph of the same formula in meV per atom: 334
Mass density in kg/m3: 2772
Space group: P6_3/mmc, No. 194
Energy of formation in eV/atom: 0.786
Density of states at the Fermi level in states/eV/atom: 1.5997


Entry 2:
## AcNdHgRh (PBE)

Data for a geometry-optimized AcNdHgRh structure. Values from VASP.

```
&SYSTEM
  ibrav = 0, nat = 4, ntyp = 4
/
ATOMIC_SPECIES
Ac 227.00 Ac.upf
Nd 144.24 Nd.upf
Hg 200.59 Hg.upf
Rh 102.91 Rh.upf
CELL_PARAMETERS angstrom
2.1280 1.2286 7.8949
-2.1280 1.2286 7.8949
0.0000 -2.4572 7.8949
ATOMIC_POSITIONS crystal
Ac 0.0000 0.0000 0.0000
Nd 0.8007 0.8007 0.8007
Hg 0.2280 0.2280 0.2280
Rh 0.4019 0.4019 0.4019
```

Calculated values
Distance to the lowest polymorph of the same formula in meV per atom: 0
Mass density in kg/m3: 9048
Space group: R3m, No. 160
Energy of formation in eV/atom: -0.556
Density of states at the Fermi level in states/eV/atom: 0.6233


Entry 3:
## NaAlSbAu3 (PBE)

Data for a geometry-optimized NaAlSbAu3 structure. Values from VASP.

```
&SYSTEM
  ibrav = 0, nat = 12, ntyp = 4
/
ATOMIC_SPECIES
Na 22.99 Na.upf
Al 26.98 Al.upf
Sb 121.76 Sb.upf
Au 196.97 Au.upf
CELL_PARAMETERS angstrom
3.3250 -7.2876 0.0000
3.3250 7.2876 0.0000
-1.9664 0.0000 5.4286
ATOMIC_POSITIONS crystal
Na 0.2311 0.7689 0.7500
Na 0.7689 0.2311 0.2500
Al 0.0129 0.9871 0.2500
Al 0.9871 0.0129 0.7500
Sb 0.3792 0.6208 0.2500
Sb 0.6208 0.3792 0.7500
Au 0.1927 0.8073 0.2500
Au 0.2064 0.3592 0.5841
Au 0.3592 0.2064 0.0841
Au 0.6408 0.7936 0.9159
Au 0.7936 0.6408 0.4159
Au 0.8073 0.1927 0.7500
```

Calculated values
Energy relative to the elements, uncorrected in eV per formula unit: -1.398
Mass density in kg/m3: 9627
Space group: C2/c, No. 15
Density of states at the Fermi level in states/eV/atom: 0.2860


The highest density of states at the Fermi level belongs to which entry?
SrLiV

~~~~~

Cu4Ni5 (meta-GGA SCAN, PBEsol geometry); final energy = -141.1 eV for the cell shown; crystal system = tetragonal; symmetry = I4/mmm (139); magnetic moment = 2.75 Bohr magnetons per cell; energy of formation = 64 meV/atom
1.0
3.484 0.000 0.000
1.742 5.254 0.000
1.742 0.000 5.254
Ni Cu
5 4
Cartesian
3.484 3.516 0.000
1.742 0.000 1.738
3.484 0.000 3.516
1.742 1.738 0.000
0.000 0.000 0.000
3.484 3.516 3.516
3.484 1.739 1.739
1.742 1.739 3.516
1.742 3.516 1.739
~~~
**The article goes on**
Quarantined: FInal Day
Sometimes life’s changes are so small that we never notice how far we have come. We feel like all our efforts are for nothing because we don’t see the difference from one day to the next. We tend to be people who want instant results, and obvious results, but that’s not how life works most of the time. Take for instance, the banner image of this post. How many of you noticed that the image changed each week, gradually moving…
Quarantined: Extra – Incarnation
Sacramental Life: Encountering the invisible God in the visible world The Incarnational Tradition focuses on the relationship between the invisible spirit and physical reality, helping us to see God’s divine presence in the material world in which we live. God manifests himself in his creation, even in the midst of mundane activities, whenever and wherever we acknowledge God. “Far from being evil, the physical is meant to be inhabited by the spiritual.” Richard Foster in Streams of Living Water copied…
### Someone pasted records of crystals at this point
********
First-principles (meta-GGA SCAN) data for a crystal of Na3Li3Fe2F12 relaxed with PBEsol, as listed in Alexandria.

Output
- Formation energy (no corrections): -2766 meV per atom
- SG: No. 230

```
Na3Li3Fe2F12
1.0
-0.136 8.499 6.205
-9.826 -3.517 -1.348
5.835 -7.523 4.483
F Na Li Fe
48 12 12 8
Cartesian
-0.063 -4.499 5.384
-5.405 -4.019 3.905
-8.497 -0.474 1.528
-3.505 -1.058 5.827
-7.042 2.893 6.287
-5.268 1.064 6.573
-0.623 -1.484 3.513
-0.896 -1.695 6.054
-3.510 -1.530 0.525
-2.926 -5.319 6.156
1.277 1.477 5.435
-7.501 0.518 5.438
-4.280 -6.841 4.392
-0.063 6.718 6.736
-2.395 1.140 7.673
-6.270 -2.218 5.513
-6.192 1.126 2.790
-1.266 0.430 1.293
1.377 0.596 8.916
-6.012 3.573 3.536
-3.232 -0.847 3.286
2.142 -0.323 3.827
1.884 -6.115 5.804
-0.618 -1.011 8.815
1.975 -0.819 6.337
3.373 -3.060 3.903
-3.804 -5.183 1.844
-4.065 -9.260 2.604
-2.862 -2.972 8.048
-8.530 -3.000 -0.118
-5.505 -3.138 0.425
1.140 -3.606 2.767
2.064 -3.668 6.550
4.369 -2.068 7.813
-1.733 -3.682 1.668
-2.460 3.217 5.957
-1.202 2.777 3.184
0.152 4.299 4.949
2.914 -5.435 3.053
-1.519 0.495 4.875
-6.103 -1.722 3.003
-4.065 1.957 3.957
-3.988 5.477 4.672
4.403 0.458 9.458
-0.140 -8.018 4.668
-1.668 -5.759 3.383
-2.609 -3.037 4.465
-0.324 2.641 7.496
-0.140 0.353 6.950
-7.971 2.356 4.035
-5.267 -0.147 4.548
-2.281 -8.158 3.688
1.139 -2.394 4.792
-4.307 -3.408 6.061
-3.987 -2.895 2.390
0.674 -5.899 3.633
-1.846 5.617 5.653
-4.802 3.357 5.708
0.179 0.867 3.279
3.843 -4.898 5.306
-7.156 -3.896 0.717
-3.842 0.096 7.220
3.029 1.354 8.623
-2.311 2.112 4.493
-4.985 -5.655 3.174
-1.138 -2.407 7.734
0.858 3.113 6.166
-0.286 -2.638 2.120
2.564 -2.151 7.464
-6.691 -0.391 1.876
-1.817 -4.654 4.847
-2.990 -0.135 1.606
2.849 0.488 5.344
-1.996 -5.520 1.568
-4.981 2.491 2.429
-0.068 4.249 3.102
2.917 -3.762 2.242
-2.064 -1.271 4.670
0.000 0.000 0.000
-4.913 -1.759 -0.674
```


First-principles (meta-GGA SCAN) data for a crystal of Ga2Ru relaxed with PBEsol, as listed in Alexandria.

Output
- Raw total energy: -22.9761 eV per atom
- SG: No. 70

```
Ga2Ru
1.0
4.706 0.000 0.000
2.353 4.062 0.000
2.353 0.000 4.333
Ru Ga
2 4
Cartesian
2.353 0.000 0.000
3.529 2.031 2.167
2.353 2.687 0.000
4.706 1.375 0.000
5.882 3.406 2.167
5.882 0.656 2.167
```


First-principles (meta-GGA SCAN) data for a crystal of Sc4Rh relaxed with PBEsol, as listed in Alexandria.

Output
- Raw total energy: -18.5997 eV per atom
- SG: No. 87

```
Sc4Rh
1.0
3.295 0.000 0.000
1.648 5.581 0.000
1.648 0.000 5.581
Sc Rh
4 1
Cartesian
3.295 3.638 1.023
3.295 1.943 4.558
1.648 1.023 1.943
4.943 4.558 3.638
0.000 0.000 0.000
```


The records above yield theoretical density values of 3180 9644 4574 kg/m3, respectively.

* * * * *

Entry 1:
## TlH6I (PBE-GGA)

Data for an optimized crystal structure of TlH6I.
********
Quarantined: Day 30
Today’s prayer will be a bit different than we have done on other Fridays. Today we reflect on the contemplative tradition which, “Put simply, the contemplative life is the steady gaze of the soul upon the God who loves us.” Richard Foster, Streams of Living Water So today I encourage you to find a comfortable and quiet place to sit. And close your eyes and sit in silence, focussing on the heart and attributes of God. Think about who he is,…
Quarantined: Day 29
Jesus said of himself, “I am the light of the world. Whoever follows me will never walk in darkness but will have the light of life.” (John 8:12) He came into the world to pierce the darkness and shine the way to life for all humanity. He went on to say, “You are the light of the world. A town built on a hill cannot be hidden. Neither do people light a lamp and put it under a bowl. Instead…
Quarantined: Day 28
Many things are changing around us. As some of us return to work and some of those same things we did before quarantine, we need to be cautious of things we didn’t need to before. But one thing that has stayed the same is what we are called to do as followers of Jesus, and that is to continue to spread the Gospel, not for our own sake but for everyone’s lives to be changed. Take a listen to this recording…
Quarantined: Day 27
Title: Turning TablesArtist: Suki Joseph PremnathArtist Statement:This was a very emotional piece of artwork to paint. When I was asking what I should be painting for social justice, this is the image that the Holy Spirit gave me. To be honest, I was taken by surprise that He would give me this image of an angry Jesus turning tables. I was full of doubt until the very last brush stroke, but I know this is exactly what He wanted me…
Quarantined: Day 26
Congratulations on making it to the last week of the “Quarantined: Using a Season of Solitude to Connect with God.” We began this journey together five weeks ago, not knowing what the state of the world would be when we reached the final week. Would things be back to normal? Would the virus be under control? Would we feel safe venturing out and be able to worship together face to face? We now know the answer to all these questions…
Quarantined: Extra – Word-Centered
Word-Centered Life: Living the life-giving message The Evangelical Tradition encompasses much more than simply converting people. The evangel – the “good news” – is God’s great message to humanity: that all can be redeemed and restored to its intended design. This is the message embodied in Jesus himself, rooted in the word of God, and ultimately expressed through the lives of those who follow Christ. It is a living tale of grace spoken in and through word and action. “This…
Quarantined: Day 25
Almighty God, When there was nothing good within me, you loved me and gave yourself for me. You have set me apart and called me to know and follow you. This calling is not to a set of rules and regulations or even a new religion but to you. To seek you. To follow you. To allow you to shape and form my heart into a pattern that looks more and more like Jesus every day. Shine your light in…
Quarantined: Day 24
That day when evening came, he said to his disciples, “Let us go over to the other side.” Leaving the crowd behind, they took him along, just as he was, in the boat. There were also other boats with him. A furious squall came up, and the waves broke over the boat, so that it was nearly swamped. Jesus was in the stern, sleeping on a cushion. The disciples woke him and said to him, “Teacher, don’t you care if we drown?” He got up,…
Quarantined: Day 23
It’s hard to believe sometimes that we are going to see the other side of everything that is happening in the world around us. When I still hear the negative things still going on, it’s difficult to see the good in what’s happening. Scripture gives us an account of when the Israelites were wandering in the wilderness and the promise that God has for them in the Promised Land but they needed to travel on the journey to get there.…